File:
<<<
P.
DyCdPd6 | the Alexandria database | PBE | optimized geometry; D(E_F) = 0.498 states/eV per atom; space-group type = R-3m
1.0
3.6658 2.1165 3.4518
-3.6658 2.1165 3.4518
0.0000 -4.2329 3.4518
Dy Cd Pd
1 1 6
Direct
0.0000 0.0000 0.0000 Dy
0.5000 0.5000 0.5000 Cd
0.1604 0.1604 0.5314 Pd
0.1604 0.5314 0.1604 Pd
0.4686 0.8396 0.8396 Pd
0.5314 0.1604 0.1604 Pd
0.8396 0.4686 0.8396 Pd
0.8396 0.8396 0.4686 Pd

=====

Q.
DyCdPd6 | the Alexandria database | PBE | optimized geometry; D(E_F) = 1.164 states/eV per atom; space-group type = P4/mmm
1.0
4.0714 0.0000 0.0000
0.0000 4.0714 0.0000
0.0000 0.0000 8.1923
Dy Cd Pd
1 1 6
Direct
0.0000 0.0000 0.0000 Dy
0.0000 0.0000 0.5000 Cd
0.0000 0.5000 0.2540 Pd
0.0000 0.5000 0.7460 Pd
0.5000 0.0000 0.2540 Pd
0.5000 0.0000 0.7460 Pd
0.5000 0.5000 0.0000 Pd
0.5000 0.5000 0.5000 Pd

=====

Which is most stable, and by how much? Q, by 0.464 eV/atom.

=====

No. 1
Compound: InBiBr
Source: the Alexandria database
Functional: PBE-GGA
Structure: optimized geometry

a = 4.5415 Å, b = 7.2180 Å, c = 12.6058 Å
α = 90.00°, β = 90.00°, γ = 90.00°
Atoms (fractional coordinates):
In1 0.7500 0.7009 0.7804
In2 0.2500 0.7991 0.2804
In3 0.7500 0.2009 0.7196
In4 0.2500 0.2991 0.2196
Bi1 0.2500 0.6229 0.0429
Bi2 0.7500 0.8771 0.5429
Bi3 0.2500 0.1229 0.4571
Bi4 0.7500 0.3771 0.9571
Br1 0.7500 0.5189 0.3500
Br2 0.2500 0.9811 0.8500
Br3 0.7500 0.0189 0.1500
Br4 0.2500 0.4811 0.6500

Energy above the most stable polymorph in this dataset   40 meV per atom
SG   No. 62
Electronic total energy   -3.088 eV/atom
Total magnetic moment   0.0 μB/cell

No. 2
Compound: SbIr4Os
Source: the Alexandria database
Functional: PBE-GGA
Structure: optimized geometry

a = 5.2323 Å, b = 5.2323 Å, c = 5.2323 Å
α = 60.00°, β = 60.00°, γ = 60.00°
Last column: magnetic moment on the atom in μB.
Atoms (fractional coordinates):
Sb1 0.0000 0.0000 0.0000  0.04
Ir1 0.8728 0.3757 0.3757  0.33
Ir2 0.3757 0.3757 0.8728  0.33
Ir3 0.3757 0.8728 0.3757  0.33
Ir4 0.3757 0.3757 0.3757  0.33
Os1 0.7500 0.7500 0.7500  1.50

SG   No. 216
Electronic total energy   -7.652 eV/atom
Total magnetic moment   3.0 μB/cell

No. 3
Compound: NbCuPb3
Source: the Alexandria database
Functional: PBE-GGA
Structure: optimized geometry

a = 5.1898 Å, b = 5.1898 Å, c = 5.1898 Å
α = 90.00°, β = 90.00°, γ = 90.00°
Last column: magnetic moment on the atom in μB.
Atoms (fractional coordinates):
Pb1 0.0000 0.5000 0.0000  -0.02
Pb2 0.0000 0.0000 0.5000  -0.03
Pb3 0.5000 0.0000 0.0000  0.00
Nb1 0.5000 0.5000 0.5000  2.47
Cu1 0.0000 0.0000 0.0000  -0.02

Energy above the most stable polymorph in this dataset   95 meV per atom
SG   No. 221
Electronic total energy   -4.162 eV/atom
Total magnetic moment   3.0 μB/cell

No. 4
Compound: Hf12BeSb6
Source: the Alexandria database
Functional: PBE-GGA
Structure: optimized geometry

a = 7.7699 Å, b = 7.7699 Å, c = 7.7699 Å
α = 99.53°, β = 99.53°, γ = 99.53°
Atoms (fractional coordinates):
Hf1 0.7912 0.5870 0.4768
Hf2 0.4768 0.7912 0.5870
Hf3 0.5870 0.4768 0.7912
Hf4 0.2088 0.4130 0.5232
Hf5 0.5232 0.2088 0.4130
Hf6 0.4130 0.5232 0.2088
Hf7 0.0690 0.0253 0.3186
Hf8 0.9747 0.6814 0.9310
Hf9 0.6814 0.9310 0.9747
Hf10 0.9310 0.9747 0.6814
Hf11 0.0253 0.3186 0.0690
Hf12 0.3186 0.0690 0.0253
Be1 0.0000 0.0000 0.0000
Sb1 0.6827 0.8921 0.3323
Sb2 0.6677 0.3173 0.1079
Sb3 0.1079 0.6677 0.3173
Sb4 0.3173 0.1079 0.6677
Sb5 0.3323 0.6827 0.8921
Sb6 0.8921 0.3323 0.6827

SG   No. 148
Electronic total energy   -7.867 eV/atom
Total magnetic moment   0.0 μB/cell

No. 5
Compound: MgNiPCl2
Source: the Alexandria database
Functional: PBE-GGA
Structure: optimized geometry

a = 4.5385 Å, b = 4.5385 Å, c = 5.9927 Å
α = 90.00°, β = 90.00°, γ = 90.00°
Last column: magnetic moment on the atom in μB.
Atoms (fractional coordinates):
Ni1 0.5000 0.5000 0.5000  1.05
Mg1 0.0000 0.0000 0.0000  0.01
P1 0.0000 0.0000 0.5000  0.46
Cl1 0.0000 0.5000 0.0000  0.06
Cl2 0.5000 0.0000 0.0000  0.06

Energy above the most stable polymorph in this dataset   359 meV per atom
SG   No. 123
>>>

Work order:
Now repeat every line further above that contains the word "In1".

Result:
In1 0.7500 0.7009 0.7804